by Dirk Dusharme
Despite its success, Six Sigma
is often scorned as just the latest management fad, a repackaging
of what has already been done, a rose by some other name.
Even within Quality Digest, there have been articles and
editorials critical of the process improvement methodology
championed by industry giants like Motorola since the mid-1980s.
But there is no arguing with success, and “success”
seems to be the word among the majority of Six Sigma practitioners.
As this year’s survey shows, Six Sigma is still going
strong, even inching its way into smaller businesses and
nonmanufacturing environments.
This year, our Six Sigma Survey was sent via e-mail to
nearly 65,000 quality professionals--either Quality Digest
subscribers, InsideQuality members or ISO 9000 certificate
holders. Of those, 25,000 received the request to participate
in the survey and 2,577 took part in the survey.
Most of the survey results can be seen on the tables throughout
this article, but we will provide more detailed analysis
of some of the more interesting survey results.
This year Quality Digest added three basic questions related
to the amount of training devoted to Six Sigma and the yearly
cost of maintaining a Six Sigma program. Not surprisingly,
both the time set aside for training and the financial commitment
to training and implementation are substantial. The vast
majority of respondents report that it’s time and
money well spent, however.
In our past two Six Sigma surveys, our panel of Six Sigma
experts have pointed out that Six Sigma is generally most
successful in larger companies because of the cost of implementation;
most experts believe that a successful implementation requires
at least one full-time Six Sigma practitioner. Add training
or consulting costs and employee hours lost to training,
and the money-meter gets whirling pretty fast. Although
evidence indicates an almost guaranteed return on investment,
the start-up costs may be beyond the reach of small companies.
This year’s survey corroborates that possibility.
About 250 of the 935 respondents who have implemented
Six Sigma shared with us how much their company spends on
the program per year. This includes training, consulting
and the salaries of full-time Six Sigma employees. We broke
the responses down into two sets: one for stand-alone businesses--those
not part of a larger organization--and one for those that
are part of a larger organization. The number of responses
for the first set is small (a clue in and of itself), but
the data point to an average of about $75,000 per year.
This figure could be smaller if you subtract the two or
three companies that spent considerably more on Six Sigma
than the others. Although this might be a reasonable figure
for companies with several hundred employees, it’s
a bit of a financial reach for smaller companies.
It’s interesting to note that these figures are
roughly equivalent for companies that are part of larger
organizations. Because training costs are based on the number
of participants and Six Sigma generally requires a percentage
of employees be directly involved, there’s a direct
correlation between the number of employees and the cost
of implementation. Roughly speaking, for companies with
100 to 50,000 employees, the cost of Six Sigma implementation
is between $100 and $200 per employee, according to these
To afford these costs, there must be a good return on
investment--and according to our respondents, there is.
This year, 400 of the 935 respondents who reported they
have a Six Sigma program in place gave specific details
on cost savings, productivity improvements and other outcomes
[Data records from another source follow]
=====
This record from the Open Molecules 2025 dataset describes 2 unconnected molecules or ions with the total composition C2H2Cl6. The level of theory is ωB97M-V/def2-TZVPD.

Cartesian coordinates (Å):
Cl (-16.2092, -24.5616, 1.0800)
C (-16.8840, -23.0340, 1.6388)
Cl (-18.5882, -22.9100, 1.1943)
Cl (-16.0041, -21.6524, 1.0115)
H (-16.8073, -22.9976, 2.7141)
Cl (-13.0564, -23.5943, 1.9662)
C (-12.7279, -23.7310, 0.2452)
Cl (-11.2554, -24.6340, -0.0636)
Cl (-12.6356, -22.1169, -0.5244)
H (-13.5786, -24.2121, -0.2149)

Results
Total charge: 0
Lowest unoccupied orbital energy, eV: 0.56
M, g mol⁻¹: 238.76
HOMO level, eV: -11.11
E, eV: -77240.76605
Spin multiplicity: 1
Energy relative to the best compared isomer or geometry (same formula, charge and spin), kcal per mole: 1.6
=====
of their Six Sigma initiatives. Only about 20 respondents
indicated that Six Sigma had not helped them at all or was
“a waste of time.”
the bottom of this article we show randomly selected Six
Sigma testimonials from companies with fewer than 500 employees
and companies with greater than 500 employees.
Because training plays a key role in the success of Six
Sigma, we asked companies that have a Six Sigma program
whether Six Sigma training was mandatory for all employees.
Of the 912 respondents, 24 percent indicated that Six Sigma
training was mandatory.
We also asked about the minimum amount of Six Sigma training
of any employee for whom training was required. This generic
question did not ask the minimum time required for each
level of Six Sigma (e.g., Black Belt, Green Belt, etc.)
training, although in most cases the respondent provided
comments accordingly. Next year’s survey will ask
this question specific to each level. The response distribution
has several peaks, centered around one- or two-day overview
or awareness courses, and peaks at the various levels of
practitioner training: Green Belt, Black Belt etc. As can
be seen in the table on page 28, about 25 percent of companies
that use Six Sigma have some sort of one- to three-day introductory
Six Sigma course for employees who will be only indirectly
involved in the process. The next peak was in the five-
to 10-day range, ostensibly due to Green Belt training.
The next peak was for more than 10 days of training, which
comments indicated were largely for Black Belts and higher.
Most of the executive overview or Champion courses last
only one or two days, in many cases only two to four hours.
Only a few companies required management to take more extensive
(five-day or greater) courses.
Since our first survey, Six Sigma has made some progress
into small businesses, which we defined as organizations
with 500 or fewer employees. In 2002, only about 11 percent
of companies that had a Six Sigma program in place had 500
or fewer employees; today the portion is 18 percent. The
majority of these sites, however, are part of larger organizations,
indicating deeper pockets and the ability to support the
That said, many consultants are developing training materials
or off-site courses that are more cost-effective for small
companies. In addition, some small companies are implementing
Six Sigma without using a full-time Six Sigma practitioner--one
of the major ongoing costs for implementation.
Six Sigma programs are also making their way into their
organizations’ nonmanufacturing functional areas.
Although the percentage of respondents reporting that manufacturing
(Records of molecules, as found in the file)
No. 1
A molecular structure, C15H13DyNO6S, computed with wB97M-V/def2-TZVPD.

Geometry as XYZ:
```
37
C15H13DyNO6S, DFT wB97M-V/def2-TZVPD
Dy 0.4199 0.2642 -0.5490
O 0.0505 -0.2119 5.6709
C 0.0938 -0.1550 4.3513
C -1.0590 -0.0257 3.5546
C -0.9068 0.0744 2.1859
N 0.3118 0.1008 1.6346
C 1.4188 -0.1158 2.3594
C 1.3552 -0.2518 3.7276
C 2.6551 -0.2639 1.4282
O 3.7715 -0.2660 1.8794
O 2.3206 -0.3607 0.1810
C -2.0110 0.0610 1.0739
O -3.1416 0.3827 1.3230
O -1.5342 -0.3360 -0.0560
H -0.8526 -0.1666 6.0196
H -2.0470 -0.0204 3.9883
H 2.2357 -0.4480 4.3185
C 5.6456 2.4072 1.4542
C 4.1912 2.5450 1.1991
C 3.6652 2.3735 -0.0832
C 2.3050 2.5133 -0.3215
C 1.4521 2.8174 0.7534
C 1.9606 2.9630 2.0386
C 3.3201 2.8315 2.2507
S -0.3156 3.0757 0.4049
C -0.1495 4.7926 -0.1850
O -0.4413 2.2518 -0.8620
H 6.2352 2.5910 0.5595
H 5.8296 1.3832 1.7843
H 5.9699 3.0809 2.2439
H 4.3321 2.1502 -0.9010
H 1.9250 2.5082 -1.3547
H 1.2976 3.1978 2.8577
H 3.7229 2.9552 3.2429
H 0.6503 4.8717 -0.9135
H 0.0645 5.4175 0.6767
H -1.0951 5.0933 -0.6225
```

Calculated values
Charge   +1
LUMO level (spin up / spin down)   -3.794 / -3.698 eV
2S+1   6
HOMO level (spin up / spin down)   -12.79 / -12.79 eV
HOMO-LUMO gap (spin up / spin down)   9.00 / 9.09 eV

Just the Mulliken charges please, in e? Sure, here they are: 1.669 -0.497 0.945 -0.466 -0.198 -0.326 0.016 -0.399 0.424 -0.588 -0.649 0.437 -0.571 -0.623 0.329 0.482 0.628 -1.560 0.645 -0.765 -0.540 0.693 -0.950 -0.576 0.599 -1.011 -0.576 0.396 0.288 0.413 0.448 0.709 0.551 0.457 0.324 0.408 0.436

=====

No. 2
2 unconnected molecules or ions with the total composition C15H13F5N5, computed with wB97M-V/def2-TZVPD.

Geometry as XYZ:
```
38
C15H13F5N5, DFT wB97M-V/def2-TZVPD
N -0.0395 -2.9445 -0.8067
C 0.2713 -1.6245 -0.8492
N -0.7950 -0.7101 -0.8121
C -0.0908 0.4889 -0.9205
C -0.9941 1.7753 -0.9155
F -0.4845 2.7961 -0.1390
F -1.2488 2.2259 -2.2055
C -2.3907 1.3695 -0.3016
C -2.4956 1.4861 1.1651
C -3.7331 1.1229 1.8383
C -4.8352 0.6250 0.9940
C -4.7193 0.5060 -0.4542
C -5.8690 -0.0567 -1.3579
F -5.8124 0.4205 -2.6337
F -5.6248 -1.4314 -1.4621
F -7.1001 0.0671 -0.7884
C -3.4880 0.8791 -1.1379
N 1.2674 0.3398 -0.9762
N 1.4788 -0.9872 -0.9324
H 0.0300 -3.5207 0.0267
H -0.4383 -3.3492 -1.6538
H -1.6113 1.8490 1.7429
H -3.8951 1.1597 2.9384
H -5.7998 0.3231 1.4769
H -3.3422 0.8112 -2.2447
H 1.9562 1.0986 -1.0297
H 2.3867 -1.4626 -0.9634
N 4.2428 0.6201 0.2416
C 5.3102 0.0092 -0.2933
C 6.1806 -0.7918 0.4270
C 5.9396 -0.9714 1.7802
C 4.8437 -0.3493 2.3585
C 4.0310 0.4289 1.5517
H 5.4600 0.1824 -1.3537
H 7.0255 -1.2620 -0.0581
H 6.5986 -1.5895 2.3780
H 4.6253 -0.4661 3.4116
H 3.1602 0.9329 1.9588
```

Calculated values
Charge   +1
LUMO level   -3.933 eV
HOMO level   -12.25 eV
HOMO-LUMO gap   8.31 eV
(End of the records of molecules)
use of Six Sigma has remained the same, at about 82 percent,
almost every other functional area has shown a 3 to 5 percent
increase in Six Sigma use.
Distribution of Six Sigma Programs by Functional Area
As in previous surveys, we continue to see a dramatic
drop-off of companies using Six Sigma around year three.
Last year we postulated that this could be because after
three years, companies had reaped the predominate benefits
from Six Sigma by picking the low-hanging fruit--obvious
waste or productivity issues--and then lost momentum later
when the dramatic savings of earlier projects failed to
appear. But with only data from two surveys to consider,
it was difficult to make a solid conclusion that this is
the case. With this survey showing the same drop at year
three, it’s becoming more apparent that many companies
are abandoning the process at that point for some reason.
although we see Six Sigma making it’s way into small
companies and nonmanufacturing areas, as a whole, there
are fewer companies starting Six Sigma initiatives. We define
a Six Sigma start-up as a company that reports its Six Sigma
initiative to be less than 1 year old. In 2002, 30 percent
of respondents reported using Six Sigma for less than one
year. In January of 2003 the percentage dropped to 21 percent,
followed by 18 percent this year.
In addition, there is an interesting trend developing
with respect to the percentage of companies within each
year range across the three surveys. The percentage of companies
in years one through three of implementation have dwindled
each year, while the percentage in years four and higher
have increased. This trend suggests that the Six Sigma market
may be peaking or has peaked. However, as with last year,
about 50 percent of respondents who haven’t already
implemented Six Sigma said that their companies plan to
start the program within the next 18 months. Next year’s
survey will give us a better indication of how the Six Sigma
market is progressing.
Distribution of Company Size for Sites With Six Sigma
scores intended to measure Six Sigma’s effect improved
from last year.
Respondents continued to acknowledge that Six Sigma has
improved their companies’ profitability, with 72 percent
agreeing that this was the case. This is up from 64 percent
in last year’s survey.
Respondents also indicated that job satisfaction has improved
due to Six Sigma. About 53 percent agreed that this was
the case, 23 percent disagreed and 24 percent were neutral.
This compares to slightly lower scores from last year, in
which 43 percent agreed that job satisfaction had improved,
30 percent disagreed and 27 percent were neutral.
The effect of Six Sigma on customer satisfaction changed
little, with 54 percent of respondents agreeing that Six
Sigma had improved customer satisfaction, 27 percent disagreeing
and 19 percent being neutral.
As any Six Sigma practitioner will attest, for the process
to work it must have complete buy-in from the top down.
For the most part, our survey reflects this.
Nearly 80 percent of respondents agreed with the statement
that “Management fully supports our Six Sigma program,”
with 40 percent saying that they strongly agreed.
Respondents also indicated that the goal of Six Sigma
projects is well-understood prior to commencement, with
87 percent agreeing that was the case and 7 percent disagreeing.
Because Six Sigma projects are bottom line-driven, this
is a significant figure and indicates that management and
practitioners are doing a good job of identifying and communicating
project goals and parameters.
The scores lag somewhat, however, when it comes to the
nuts and bolts of support (e.g., training, time and resources).
Nearly 41 percent of respondents indicated that they could
have used more Six Sigma training prior to starting Six
Sigma projects; about 45 percent indicated training was
The score was also split when it came to the amount of time
allowed for Six Sigma projects: 51 percent responded that
they were given enough time, 37 percent said they weren’t
and 11 percent were neutral. Availability of resources showed
an almost even split, with 45 percent agreeing they had
enough resources to implement projects and 43 percent indicating
they did not.
In the two years we have been tracking Six Sigma usage
and perceptions, the predominant finding of survey responses
is the overwhelming agreement on this methodology as a means
to drastically reduce waste and improve productivity. Six
Sigma practitioners are a zealous lot, and with good reason;
when properly implemented and supported by management, the
process yields huge results. Very few of those who utilize
Six Sigma have anything negative to say about it.
Of course, there is always a downside, and with Six Sigma,
the downside is the difficulty of implementing it within
small companies. In the past, experts have explained that
Six Sigma is most easily implemented in companies with more
than 500 employees. And, although some inroads have been
made in reducing costs to make it more viable for small
companies, our surveys still support that idea. It takes
money to make money; with Six Sigma, this is definitely
the case. It also takes dedicated people-power. Larger companies
have the resources to spend on Six Sigma training and rollout
without worrying about an immediate return on investment,
which incidentally, respondents tell us there almost always
Finally, although a little early to tell, some trends
in the past three survey data might indicate that Six Sigma
is on the wane. Decreasing Six Sigma start-ups and a shift
in the distribution of how long companies have been employing
Six Sigma seem to point in that direction. Next year’s
survey will give us a better picture of whether this is
the case.
- Our overall cost of quality system failure was
less than 0.5% of sales. We were bench- marked as
the top quality supplier for 90% of our customers.
- Reduced machine cycle time by 20%, scrap reduction
by 25%, increased production rate by 15%
- Waste reduction saves $340,000 annually at one
- Various projects--$5,000 to $1.2 million
- Overall business results--$250,000 annually
- Waste reduction saves $15,000 per month. Customer
satisfaction increased from 10% to 91% within three
- We utilized lean to re-create the entire factory,
building a whole new plant. Then we went into the
plant that was fairly well run and pulled out another
$271,000, representing about 23% of net revenues
for that year.
These responses were randomly selected from those
companies with fewer than 500 employees that answered
this question.
- $2.3 million in savings since 2002
- Reduced downtime by 40%. Increased output by 15%
- Cost reduction--5%
- Over nine-month period: 21 completed projects,
$1 million in savings, increased accurate forecasting
and production planning by 60%.
- $2 billion savings
- $25,000 per month savings
- It has been more of an expense at this stage.
A lot of talk of it and not much follow-through.
- Reduced scrap by 30%/month reduced rework on one
product from 39% average
- to 12%.
- $55 million in hard savings, $120 million in soft
- Greater than $1.5 billion in benefits
- Overall cost reduction of 10% in first year
- Greater than $4 million in first year
- First-year cost savings or potential savings of
about $1.5 million.
- Reduced utility costs $300,000, reduced shipping
claims 20%, reduced manufacturing costs $500,000
- $1 million to bottom-line profit first year
- $1.1 million last year
- Reduced waste $150 million
- $5 million corporatewide
- The project was to save $250,000. It failed, and
cost in scrap and lost production-resource people
was $300,000.
- $900,000 for 2003
- Waste reduction of 40%, saving $120,000 per year
- Customer complaints reduced by 75%. Productivity
increased by 5%.
- Reduced scrap by $800,000. Reduced customer complaints
by 15%. Added $400,000 incremental revenue
- $3-5 million annually
- $200,000 per month
- Our local site: savings of greater than $2 million
over last 2 years
- Approximately $8 million per year for our location
- Savings of $5 million. Production increase, utilities
- Increase some aspects of production by 30%, and
increase billing and collection by 35%
- Reduced manufacturing cycle time by 75%, decreased
resource costs to process received goods by 57%,
reduced ECO process cycle time by 97%, reduced manufacturing
errors by 82%
These responses were randomly selected from those
companies with greater than 500 employees that answered
this question.
Dirk Dusharme is Quality Digest’s technology